Revival, Part 1 of 5

- - -
1.
Computed powder diffractogram
Compound: TaTi3Ga3
Radiation: Cu Kα X-rays
Structure: DFT lattice parameters and positions (PBE)
Intensities are scaled so that the largest is 100.

Crystal structure
Lattice parameters (Å, degrees): 7.591 7.591 4.575 90.00 90.00 120.00
Fractional coordinates of all 14 atoms:
1 Ta 0.333 0.667 0.250
2 Ta 0.667 0.333 0.750
3 Ti 0.020 0.236 0.250
4 Ti 0.216 0.980 0.250
5 Ti 0.236 0.216 0.750
6 Ti 0.764 0.784 0.250
7 Ti 0.784 0.020 0.750
8 Ti 0.980 0.764 0.750
9 Ga 0.081 0.457 0.750
10 Ga 0.377 0.919 0.750
11 Ga 0.457 0.377 0.250
12 Ga 0.543 0.623 0.750
13 Ga 0.623 0.081 0.250
14 Ga 0.919 0.543 0.250

The 10 most intense peaks (2θ = 10–90°), in order of falling intensity:
- 41.35°, rel. 100.0
- 39.39°, rel. 26.4
- 13.47°, rel. 25.5
- 36.15°, rel. 24.1
- 33.57°, rel. 21.0
- 78.74°, rel. 18.9
- 72.76°, rel. 17.9
- 23.69°, rel. 17.0
- 65.01°, rel. 16.5
- 54.53°, rel. 14.2

2.
Computed powder diffractogram
Compound: TbHo6In2
Radiation: Cu Kα X-rays
Structure: DFT lattice parameters and positions (PBE)
Intensities are scaled so that the largest is 100.

Crystal structure
Lattice parameters (Å, degrees): 6.599 6.599 11.882 107.30 107.30 32.75
Fractional coordinates of all 9 atoms:
1 Tb 0.000 0.000 0.000
2 Ho 0.015 0.015 0.343
3 Ho 0.310 0.310 0.416
4 Ho 0.316 0.316 0.124
5 Ho 0.684 0.684 0.876
6 Ho 0.690 0.690 0.584
7 Ho 0.985 0.985 0.657
8 In 0.356 0.356 0.792
9 In 0.644 0.644 0.208

The 10 most intense peaks (2θ = 10–90°), in order of falling intensity:
- 33.03°, rel. 100.0
- 32.82°, rel. 90.4
- 31.69°, rel. 49.5
- 31.79°, rel. 48.5
- 59.53°, rel. 32.6
- 48.96°, rel. 16.7
- 57.56°, rel. 15.3
- 45.82°, rel. 15.1
- 57.17°, rel. 14.9
- 57.44°, rel. 13.0

3.
Computed powder diffractogram
Compound: InGa3Pt3
Radiation: Cu Kα X-rays
Structure: DFT lattice parameters and positions (PBE)
Intensities are scaled so that the largest is 100.

Crystal structure
Lattice parameters (Å, degrees): 7.792 7.792 7.792 90.00 90.00 90.00
Fractional coordinates of all 28 atoms:
1 In 0.057 0.443 0.557
2 In 0.443 0.557 0.057
3 In 0.557 0.057 0.443
4 In 0.943 0.943 0.943
5 Ga 0.123 0.623 0.877
6 Ga 0.164 0.164 0.164
7 Ga 0.199 0.801 0.301
8 Ga 0.301 0.199 0.801
9 Ga 0.336 0.836 0.664
10 Ga 0.377 0.377 0.377
11 Ga 0.623 0.877 0.123
12 Ga 0.664 0.336 0.836
13 Ga 0.699 0.699 0.699
14 Ga 0.801 0.301 0.199
15 Ga 0.836 0.664 0.336
16 Ga 0.877 0.123 0.623
17 Pt 0.004 0.798 0.602
18 Pt 0.102 0.496 0.202
19 Pt 0.202 0.102 0.496
20 Pt 0.298 0.898 0.996
21 Pt 0.398 0.504 0.702
22 Pt 0.496 0.202 0.102
23 Pt 0.504 0.702 0.398
24 Pt 0.602 0.004 0.798
25 Pt 0.702 0.398 0.504
26 Pt 0.798 0.602 0.004
27 Pt 0.898 0.996 0.298
28 Pt 0.996 0.298 0.898

The 10 most intense peaks (2θ = 10–90°), in order of falling intensity:
- 36.46°, rel. 100.0
- 43.46°, rel. 64.6
- 28.05°, rel. 56.7
- 41.80°, rel. 42.6
- 78.62°, rel. 25.0
- 48.15°, rel. 22.1
- 52.52°, rel. 21.4
- 38.31°, rel. 19.4
- 71.65°, rel. 16.7
- 75.16°, rel. 16.6

4.
Computed powder diffractogram
- - -
## Back to the text

Revival, Part 1 of 5

“We are the Greenwalds, and we are going to Wally-World!”  Do you remember that movie with Chevy Chase?  They decide at the last minute to pack up and go on a vacation to Wally World.  After a lifetime of unique and challenging experiences on the journey, they get to Wally World to find out it is closed!

Well, there is a lesson for all of us with everything we do.  We are going to have some special meetings we call ‘revival’ March 18-21.  We have Rev. Roger Morton coming to preach for us.  He preached for us a few years ago and God blessed us in magnificent ways.  But, Roger, as good and loved as he is, is not the key to revival.  God is!

-- begin --
This entry pairs a crystal structure of LiAcEr2Te4 with its theoretical PXRD pattern. Radiation: copper Kα. Structure: the GGA-PBE geometry in Alexandria.

Main lines, by angle (5 to 70 degrees two-theta):
2θ/deg	intensity
21.44	56
26.60	42
27.85	79
29.72	100
36.64	49
38.70	28
40.96	74
59.31	26

Structure:
a b c (Å): 7.673 7.673 15.061
angles (deg): 90.00 90.00 146.59
Sites, in units of the cell vectors:
Li (0.144, 0.856, 0.750)
Li (0.856, 0.144, 0.250)
Ac (0.128, 0.872, 0.250)
Ac (0.872, 0.128, 0.750)
Er (0.371, 0.629, 0.061)
Er (0.371, 0.629, 0.439)
Er (0.629, 0.371, 0.561)
Er (0.629, 0.371, 0.939)
Te (0.000, 0.000, 0.000)
Te (0.000, 0.000, 0.500)
Te (0.269, 0.731, 0.616)
Te (0.269, 0.731, 0.884)
Te (0.458, 0.542, 0.250)
Te (0.542, 0.458, 0.750)
Te (0.731, 0.269, 0.116)
Te (0.731, 0.269, 0.384)
-- stop --

I want to think about the questions – ‘Who are we?  Where are we going? How will we get there?” Over the next three months, I will write a devotion and post it on Facebook for you to read and pray about.  Revival does not come with the preacher.  It comes from God to the hearts of those seeking Him.

Most of us think that we would like to see God working in mighty ways in our congregation.  We have heard stories of how the Holy Spirit has stirred congregations and revival broke out.  The movement spread to other churches and covered great cities.  Where and when do these revivals begin.  Perhaps you are thinking of some prayer warrior or deeply pious person in the congregation and you think they are the most likely person to spark the fires of revival.  We seldom don’t put ourselves in that position, thinking that God would want to start revival in us! 

Revival begins with one person who bravely seeks the face of God; who opens their hearts and lives, recognizing the great gulf their sin has created between them and God; and is willing to let God do a work of grace and mercy in and through them. They see their sin.  They know that they are the only ones responsible for their attitudes and behavior, bad decisions and wandering from the leadership of God.  They confess it and beg God to forgive them and restore them.  And God does.

It makes a big difference in their priorities.  They act more lovingly, especially to those who have cause them pain.  They forgive and seek the forgiveness of those they have hurt.  There is no pride, but a great spirit of humility.  And God does His work touching lives through them. Soon, others are convicted by God’s Spirit and they humble themselves before the throne and God restores and revives them. Revival breaks out!

The purpose of revival is not to gain new members, though some will join our church as God moves them.  The purpose is to get our own lives, priorities and values, attitudes and behaviors right.  Only you and God can do that.  Are you willing to seek the face of God and come before Him in humility?  Are you ready for revival to begin in your heart?